Cyber Testing for Resilient Industrial Control Systems (CyTRICS)​

Leveraging strategic partnerships and facilities and analytic capabilities at six National Laboratories to test cyber resilience of energy technologies

CyTRICS partners across stakeholders to identify high priority operational technology (OT) components, perform expert testing, share information about vulnerabilities in the digital supply chain, and inform improvements in component design and manufacturing. CyTRICS leverages best-in-class test facilities and analytic capabilities at six DOE National Laboratories and strategic partnerships with key stakeholders including technology developers, manufacturers, asset owners and operators, and interagency partners.


CyTRICS Supports

Someone pasted data records at this point =
<<<
No. 1
# Li6B4O9 | Materials Project | GGA-PBE | optimized geometry
# Energy of formation ... -50.83 eV per formula unit
# Energy with MP2020 corrections ... -7.03 eV/atom
# E_tot ... -127.348 eV/f.u.
# Calculated volume ... 743.4 Å³ per cell
# Magnetic moment ... 0.00 μB per cell
# Space group ... P2_1/c, No. 14
# Excess energy over the best structure of this formula in the dataset ... 0.000 eV per atom
data_Li6B4O9
_cell_length_a 23.6505
_cell_length_b 3.3938
_cell_length_c 9.7332
_cell_angle_alpha 72.10
_cell_angle_beta 90.00
_cell_angle_gamma 90.00
_symmetry_space_group_name_H-M 'P 1'
_symmetry_Int_Tables_number 1
loop_
_symmetry_equiv_pos_as_xyz
'x,y,z'
loop_
_atom_site_label
_atom_site_type_symbol
_atom_site_fract_x
_atom_site_fract_y
_atom_site_fract_z
B1 B 0.9772 0.5047 0.7377
B2 B 0.9135 0.3781 0.2967
B3 B 0.2433 0.4100 0.4171
B4 B 0.6480 0.6296 0.5648
B5 B 0.1480 0.3704 0.9352
B6 B 0.3520 0.3704 0.4352
B7 B 0.5228 0.5047 0.2377
B8 B 0.0865 0.6219 0.7033
B9 B 0.4772 0.4953 0.7623
B10 B 0.5865 0.3781 0.7967
B11 B 0.7567 0.5900 0.5829
B12 B 0.8520 0.6296 0.0648
B13 B 0.0228 0.4953 0.2623
B14 B 0.2567 0.4100 0.9171
B15 B 0.4135 0.6219 0.2033
B16 B 0.7433 0.5900 0.0829
Li1 Li 0.4425 0.8603 0.9587
Li2 Li 0.7937 0.8807 0.8027
Li3 Li 0.5575 0.1397 0.0413
Li4 Li 0.2063 0.1193 0.1973
Li5 Li 0.6434 0.6577 0.0212
Li6 Li 0.4582 0.2487 0.5104
Li7 Li 0.5418 0.7513 0.4896
Li8 Li 0.7958 0.3170 0.3509
Li9 Li 0.1186 0.6299 0.1788
Li10 Li 0.9425 0.1397 0.5413
Li11 Li 0.2958 0.6830 0.1491
Li12 Li 0.3814 0.6299 0.6788
Li13 Li 0.3566 0.3423 0.9788
Li14 Li 0.1434 0.3423 0.4788
Li15 Li 0.7063 0.8807 0.3027
Li16 Li 0.7042 0.3170 0.8509
Li17 Li 0.6186 0.3701 0.3212
Li18 Li 0.9582 0.7513 0.9896
Li19 Li 0.2937 0.1193 0.6973
Li20 Li 0.0418 0.2487 0.0104
Li21 Li 0.8566 0.6577 0.5212
Li22 Li 0.2042 0.6830 0.6491
Li23 Li 0.0575 0.8603 0.4587
Li24 Li 0.8814 0.3701 0.8212
O1 O 0.5984 0.5524 0.6504
O2 O 0.5682 0.5452 0.1458
O3 O 0.0682 0.4548 0.3542
O4 O 0.8599 0.7872 0.9220
O5 O 0.6994 0.5315 0.6377
O6 O 0.8006 0.5315 0.1377
O7 O 0.0289 0.6706 0.6638
O8 O 0.3006 0.4685 0.3623
O9 O 0.7317 0.7410 0.9395
O10 O 0.1994 0.4685 0.8623
O11 O 0.9016 0.5524 0.1504
O12 O 0.5289 0.3294 0.8362
O13 O 0.9738 0.3413 0.8827
O14 O 0.1401 0.2128 0.0780
O15 O 0.0262 0.6587 0.1173
O16 O 0.9318 0.5452 0.6458
O17 O 0.9711 0.3294 0.3362
O18 O 0.4738 0.6587 0.6173
O19 O 0.4318 0.4548 0.8542
O20 O 0.3759 0.7427 0.0948
O21 O 0.2976 0.5194 0.8122
O22 O 0.2024 0.5194 0.3122
O23 O 0.6241 0.2573 0.9052
O24 O 0.7024 0.4806 0.1878
O25 O 0.6401 0.7872 0.4220
O26 O 0.4711 0.6706 0.1638
O27 O 0.5262 0.3413 0.3827
O28 O 0.1241 0.7427 0.5948
O29 O 0.7683 0.7410 0.4395
O30 O 0.7976 0.4806 0.6878
O31 O 0.8759 0.2573 0.4052
O32 O 0.0984 0.4476 0.8496
O33 O 0.2683 0.2590 0.0605
O34 O 0.3599 0.2128 0.5780
O35 O 0.4016 0.4476 0.3496
O36 O 0.2317 0.2590 0.5605



No. 2
# Li20B54O | Materials Project | GGA-PBE | optimized geometry
# Energy of formation ... -19.90 eV per formula unit
>>>

  • Supply Chain Executive Orders
  • National Defense Authorization Act of 2020 (Sec. 5726 Pilot Program)
  • Multiple critical infrastructure sub-sectors, including electricity, oil & natural gas, wind and other renewables, hydroelectrics, and other federal partners
  • Commercial partners for testing

Innovative Components

Prioritization Methodology

An approach to prioritizing OT components for testing that incorporates key factors including operational impact, prevalence, and national security interest. This approach provides a strategic, transparent rationale for testing components that optimizes security impact.

Standardized Testing Process

DOE has developed and refined a standardized approach to enumerating and vulnerability testing firmware and software subcomponents. Standardization ensures consistency, repeatability, and comparability of results, to scale up testing and automation across Labs and partners.

Standardized Reporting and Repository

CyTRICS captures testing results in a standard, bill of materials format that captures granular “digital ingredients” to the subcomponent level, to rapidly identify embedded high-risk components and subcomponents. The program features a central repository of testing results for comprehensive, sector-wide analysis of systemic risks and vulnerabilities.

Vendor Agreements

CyTRICS partners with top manufacturers and utilities in the sector to sign participation Agreements to frame mutual cooperation prior to conducting testing. The standard agreement establishes types of software and firmware testing to be performed, timely disclosure of vulnerabilities identified during testing, and coordinated disclosure of vulnerability information with impacted asset owners, federal agencies, and energy sector stakeholder.

# 1
{"formula": "Ba3Sb2O6", "functional": "r2SCAN", "state": "relaxed", "lattice": [[-5.430, 2.145, 2.061], [-0.803, -9.751, -1.098], [4.913, 1.563, 11.067]], "species": ["Sb", "O", "O", "O", "O", "O", "O", "Ba", "Ba", "O", "Sb", "Ba", "Sb", "Ba", "Ba", "O", "Sb", "Sb", "O", "Ba", "O", "O", "O", "Ba", "O", "O", "O", "O", "O", "Ba", "Sb", "Ba", "O"], "fractional_positions": [[0.316, 0.664, 0.493], [0.566, 0.581, 0.842], [0.390, 0.679, 0.651], [0.010, 0.567, 0.824], [0.793, 0.047, 0.153], [0.626, 0.293, 0.846], [0.207, 0.953, 0.847], [0.149, 0.275, 0.288], [0.000, 0.000, 0.500], [0.265, 0.039, 0.139], [0.684, 0.336, 0.507], [0.390, 0.790, 0.941], [0.237, 0.494, 0.082], [0.610, 0.210, 0.059], [0.513, 0.033, 0.700], [0.374, 0.707, 0.154], [0.955, 0.901, 0.122], [0.763, 0.506, 0.918], [0.562, 0.837, 0.479], [0.851, 0.725, 0.712], [0.990, 0.433, 0.176], [0.434, 0.419, 0.158], [0.735, 0.961, 0.861], [0.219, 0.397, 0.705], [0.610, 0.321, 0.349], [0.438, 0.163, 0.521], [0.972, 0.890, 0.279], [0.028, 0.110, 0.721], [0.067, 0.749, 0.512], [0.487, 0.967, 0.300], [0.045, 0.099, 0.878], [0.781, 0.603, 0.295], [0.933, 0.251, 0.488]], "spacegroup": "No. 2"}

***

# 2
{"formula": "BaSc2O4", "functional": "r2SCAN", "state": "relaxed", "lattice": [[-4.867, -2.076, 2.215], [-1.976, -5.044, -1.886], [10.775, -9.725, 14.633]], "species": ["Ba", "O", "Sc", "Sc", "O", "Sc", "O", "O", "O", "Sc", "Sc", "O", "Sc", "O", "O", "Ba", "O", "O", "Sc", "O", "O", "O", "O", "Sc", "O", "O", "O", "Ba", "Sc", "Ba", "O", "O", "O", "O", "Sc", "Sc", "O", "Sc", "Ba", "Ba", "O", "O"], "fractional_positions": [[0.393, 0.607, 0.750], [0.600, 0.705, 0.004], [0.277, 0.059, 0.195], [0.614, 0.381, 0.430], [0.705, 0.600, 0.504], [0.619, 0.386, 0.070], [0.000, 0.000, 0.000], [0.965, 0.247, 0.119], [0.396, 0.128, 0.749], [0.042, 0.285, 0.553], [0.381, 0.614, 0.930], [0.923, 0.077, 0.750], [0.723, 0.941, 0.805], [0.247, 0.965, 0.619], [0.816, 0.524, 0.376], [0.725, 0.944, 0.637], [0.524, 0.816, 0.876], [0.077, 0.923, 0.250], [0.958, 0.715, 0.447], [0.128, 0.396, 0.249], [0.729, 0.409, 0.624], [0.271, 0.591, 0.376], [0.400, 0.295, 0.996], [0.386, 0.619, 0.570], [0.476, 0.184, 0.124], [0.184, 0.476, 0.624], [0.000, 0.000, 0.500], [0.275, 0.056, 0.363], [0.941, 0.723, 0.305], [0.056, 0.275, 0.863], [0.872, 0.604, 0.751], [0.753, 0.035, 0.381], [0.035, 0.753, 0.881], [0.409, 0.729, 0.124], [0.059, 0.277, 0.695], [0.285, 0.042, 0.053], [0.295, 0.400, 0.496], [0.715, 0.958, 0.947], [0.944, 0.725, 0.137], [0.607, 0.393, 0.250], [0.591, 0.271, 0.876], [0.604, 0.872, 0.251]], "spacegroup": "No. 15"}

***

# 3

CyTRICS Highlights and Annoucements

CESER welcomes Rockwell Automation as the sixth industry partner to the CyTRICS program to test critical energy infrastructure components for cybersecurity vulnerabilities.
CESER announced a collaboration with Westinghouse Electric Company to test for potential cyber vulnerabilities in one of the company’s Instrumentation and Controls (I&C) systems used for nuclear applications

Sponsor and Participating Organizations